My CoreXYUVAB as of today
@deckingman Ian something OT, but I know you're interested in mutlicolor/multimaterial printing, this may be of interest for you:
@JoergS5 Thanks for the link. Now that I like!
Multi-colour/multi-material printing aside, I've always thought that there must be a better way of laying down molten plastic than trying to control what comes out of small nozzle by changing how we ram the stuff in to it. Replacing conventional extruders with fast switching solenoids is akin to how the internal combustion engine has evolved for using old "analogue" carburettors, which relied on a given (pulsating and variable density) air flow to "suck in" a given amount of fuel, to using electronically controlled fuel injection systems to deliver a very precise qantity of fuel based on information received from a vast array of sensors.
I truly believe that the way forward is to do away with conventional extruders and replace them with something akin to what you linked.
Ian, I´v learnd a lot bevor from your blog. Special about multicolor and the Diamond Nozzle.
Today, for me it worked not... often it is clogged and I don´t know why... not really.
My Idea, special in mutimaterial printing is... only two materials... but with a very small nozzel.
So the volum at the nozzle inside is extremly minimal.. and so ... perhaps... it´s possible to come like direct injektion.The 3-diamond nozzle contains whereby the 3 E3D´s more machanical space and therefor more Material.
Equivalent bigger is your 5-Nozzle and so.. more material.If you thing about how many material come through the small hole in the front of the nozzle... you can imagine, wich impact has a little more volume at the inside.
Thats my Idea for an very, very small Nozzle, with only two E3D and a very compact dimension.
Inserted here: calculated crystals.
____________
#one
DFT (PBE+U) results for a relaxed structure of Li8CrO6.

For the volume, the calculation gives 126.11 Å³/f.u. As for the spin magnetization: 0.133 μB per atom. The value obtained for the mass density is 2680 kg/m³.

a b c (Å): 5.4063 5.8801 9.3631
angles (deg): 105.40 90.03 62.62
With the nearest neighbours (Å) after each atom.
Sites, in units of the cell vectors:
1 Li 0.4880 0.0238 0.1705  6 O 2.12-2.32
2 Li 0.9878 0.0242 0.6707  6 O 2.12-2.32
3 Li 0.0121 0.9758 0.3293  6 O 2.12-2.32
4 Li 0.5121 0.9762 0.8295  6 O 2.12-2.32
5 Li 0.9920 0.3521 0.2446  4 O 1.90-2.07
6 Li 0.4925 0.3519 0.7449  4 O 1.90-2.08
7 Li 0.9814 0.6471 0.1183  4 O 1.90-2.07
8 Li 0.4807 0.6480 0.6186  4 O 1.90-2.07
9 Li 0.0394 0.6483 0.4502  4 O 1.90-2.08
10 Li 0.5391 0.6478 0.9503  4 O 1.90-2.07
11 Li 0.4610 0.3521 0.0496  4 O 1.90-2.07
12 Li 0.9606 0.3517 0.5498  4 O 1.90-2.08
13 Li 0.5193 0.3519 0.3814  4 O 1.90-2.07
14 Li 0.0186 0.3529 0.8817  4 O 1.90-2.07
15 Li 0.5075 0.6481 0.2551  4 O 1.90-2.08
16 Li 0.0080 0.6479 0.7554  4 O 1.90-2.07
17 Cr 0.4999 0.9999 0.5001  6 O 1.99-2.00
18 Cr 0.0001 0.0000 0.0000  6 O 2.00
19 O 0.7758 0.7672 0.3130  5 Li 1.90-2.12, 1 Cr 2.00
20 O 0.2746 0.7687 0.8135  5 Li 1.90-2.12, 1 Cr 2.00
21 O 0.1849 0.2321 0.0442  5 Li 1.90-2.12, 1 Cr 2.00
22 O 0.6851 0.2327 0.5443  5 Li 1.90-2.12, 1 Cr 2.00
23 O 0.2422 0.2320 0.3856  5 Li 1.90-2.13, 1 Cr 1.99
24 O 0.7417 0.2326 0.8848  5 Li 1.90-2.12, 1 Cr 2.00
25 O 0.2583 0.7674 0.1152  5 Li 1.90-2.12, 1 Cr 2.00
26 O 0.7578 0.7680 0.6144  5 Li 1.90-2.13, 1 Cr 1.99
27 O 0.3149 0.7672 0.4557  5 Li 1.90-2.12, 1 Cr 2.00
28 O 0.8152 0.7679 0.9558  5 Li 1.90-2.12, 1 Cr 2.00
29 O 0.7254 0.2313 0.1865  5 Li 1.90-2.12, 1 Cr 2.00
30 O 0.2242 0.2328 0.6870  5 Li 1.90-2.12, 1 Cr 2.00

---

#two
DFT (PBE+U) results for a relaxed structure of Li8CrO6.

For the volume, the calculation gives 146.13 Å³/f.u. The value obtained for the mass density is 2313 kg/m³.

a b c (Å): 5.5725 5.5725 10.8677
angles (deg): 90.00 90.00 120.00
With the nearest neighbours (Å) after each atom.
Sites, in units of the cell vectors:
1 Li 0.0000 0.3146 0.0000  4 O 1.99-2.07
2 Li 0.0000 0.3903 0.3616  3 O 1.97-1.99
3 Li 0.0000 0.6097 0.8616  3 O 1.97-1.99
4 Li 0.0000 0.6854 0.5000  4 O 1.99-2.07
5 Li 0.3146 0.0000 0.0000  4 O 1.99-2.07
6 Li 0.3146 0.3146 0.5000  4 O 1.99-2.07
7 Li 0.3333 0.6667 0.1403  4 O 1.98-2.07
8 Li 0.3333 0.6667 0.6403  4 O 1.98-2.07
9 Li 0.3903 0.0000 0.3616  3 O 1.97-1.99
10 Li 0.3903 0.3903 0.8616  3 O 1.97-1.99
11 Li 0.6097 0.0000 0.8616  3 O 1.97-1.99
12 Li 0.6097 0.6097 0.3616  3 O 1.97-1.99
13 Li 0.6667 0.3333 0.1403  4 O 1.98-2.07
14 Li 0.6667 0.3333 0.6403  4 O 1.98-2.07
15 Li 0.6854 0.0000 0.5000  4 O 1.99-2.07
16 Li 0.6854 0.6854 0.0000  4 O 1.99-2.07
17 Cr 0.0000 0.0000 0.2275  4 O 1.79-1.85
18 Cr 0.0000 0.0000 0.7275  4 O 1.79-1.85
19 O 0.0000 0.0000 0.3982  1 Cr 1.85, 3 Li 2.07
20 O 0.0000 0.0000 0.8982  1 Cr 1.85, 3 Li 2.07
21 O 0.0000 0.3096 0.1828  1 Cr 1.79, 4 Li 1.98-1.99
____________
I don´t know if it´s right and if it works... but that my Idea. -
I see the hot end with the metrol switch.
Where have you find the soo small oil filled bronze bushes and steel dowels ? -
@pipersw said in My CoreXYUVAB as of today:
I see the hot end with the metrol switch.
Where have you find the soo small oil filled bronze bushes and steel dowels ?I can't remember exactly - it was along time ago. They aren't difficult things to find and an internet search will likely throw up numerous suppliers. The bronze bushes go by the trade name of "Oilite" but if you put "Sintered bronze bushes" into a search engine it will likely turn something up. The ones I used were 6mm ID and something like 9mm OD and about 12mm long. The steel dowel pins are just that. I don't know of any other name for them. Just a steel pin with a chamfer at each end. The ones I used are 6mm diameter and about 16 mm long (I think).
I have to ask, so many wires, so many tubes, so many things emitting heat, how come you did not take the watercooling road ?
@arhi said in My CoreXYUVAB as of today:
I have to ask, so many wires, so many tubes, so many things emitting heat, how come you did not take the watercooling road ?
Err, not sure I understand the question
. The complexity comes primarily from the fact that I have 6 extruders feeding a mixing hot end, and because it's biggish printer and I don't want Bowden tubes which would be over a metre long, I have chosen to mount the extruders on a separate moving (UV) gantry.
There are only 2 primary sources of heat. The first is the bed heater - not much I can do about water cooling that as it needs to get hot.
The second is the Diamond hot end which has a single 40 watt heater cartridge. But it does have 5off modified E3D style heat sinks which are cooled by a single fan. These heat sinks could be water cooled but they fit in a tight circle with the fins almost touching each other, so there is no room to fit water jackets around them. But even if I could, I'd need to fit a radiator and pump somewhere, then run water pipes to the 5 heat sink jackets and return back to the pump. As well as wiring for the pump and probably extra temperature sensors, this would just add even more tubes and wires and gain nothing apart from replacing a single fan.
The only other sources of heat are secondary. The Duet boards themselves but they are passively cooled and need neither fans nor water cooling. I did have a fan blowing onto the back of the main board but found it unnecessary so I've removed it. And the motors produce heat. But now that I've mounted the motors on aluminium mounts which in turn are bolted to the aluminium frame, this all acts like a giant heat sink so they too are passively cooled requiring neither fans nor water cooling.
Edit. There is a water cooled varint of the Diamond 5 colour but even the inventor refers to it as experimental. Besides, it replaces a single fan with a pump, radiator and lots of tubing - not sure why I would want to do that as the printer sits in an unheated chamber.
That makes sense, you are not enclosing it so all the passive heat has where to leave and the single fan cools all those cold sides of that single hotend. I didn't expect that diamond is heated with only 40W. Thanks for clarification.
@arhi said in My CoreXYUVAB as of today:
That makes sense, you are not enclosing it so all the passive heat has where to leave and the single fan cools all those cold sides of that single hotend. I didn't expect that diamond is heated with only 40W. Thanks for clarification.
Records of crystals, kept here for reference:
-- begin --
[1]
13
Lattice="7.7935 -1.9480 0.0000 7.7935 1.9480 0.0000 -2.5568 0.0000 6.2157" Properties=species:S:1:pos:R:3 comment="Nd2Ta2O9 (GGA-PBE, relaxed)" formation_enthalpy_0k_ev_per_atom=-3.26 volume_a3_per_fu=188.7 space_group="C2/m, No. 12" pbc="T T T"
Nd 2.5655 0.0000 1.1531
Nd 10.4648 0.0000 5.0626
Ta 6.6893 0.0000 1.2042
Ta 6.3410 0.0000 5.0115
O -1.4006 0.0000 5.2367
O 1.9803 0.0000 3.4843
O 4.8437 0.0000 0.4959
O 4.3786 0.0000 5.2294
O 6.5151 0.0000 3.1079
O 8.6517 0.0000 0.9863
O 8.1866 0.0000 5.7198
O 11.0500 0.0000 2.7314
O 14.4309 0.0000 0.9790

---

[2]
22
Lattice="5.5039 -3.7880 0.0000 5.5039 3.7880 0.0000 0.0000 0.0000 7.7301" Properties=species:S:1:pos:R:3 comment="Nd3TaO7 (GGA-PBE, relaxed)" de_polymorph_mev_per_atom=5.1 formation_enthalpy_0k_ev_per_atom=-3.74 volume_a3_per_fu=161.2 space_group="Cmcm, No. 63" pbc="T T T"
Nd 0.0000 0.0000 0.0000
Nd 0.0000 0.0000 3.8651
Nd 2.9985 1.5687 5.7976
Nd 2.9985 -1.5687 1.9325
Nd 8.0093 1.5687 5.7976
Nd 8.0093 -1.5687 1.9325
Ta 5.5039 0.0000 0.0000
Ta 5.5039 0.0000 3.8651
O 1.4457 0.1664 1.9325
O 1.4457 -0.1664 5.7976
O 4.1138 1.4210 0.2584
O 4.1138 1.4210 3.6067
O 5.5039 0.5047 5.7976
O 6.8940 1.4210 0.2584
O 6.8940 1.4210 3.6067
O 4.1138 -1.4210 4.1235
O 4.1138 -1.4210 7.4718
O 5.5039 -0.5047 1.9325
O 6.8940 -1.4210 4.1235
O 6.8940 -1.4210 7.4718
O 9.5622 0.1664 1.9325
O 9.5622 -0.1664 5.7976

---

[3]
22
Lattice="3.8489 -5.4616 0.0000 3.8489 5.4616 0.0000 0.0000 0.0000 7.7436" Properties=species:S:1:pos:R:3 comment="Nd3TaO7 (GGA-PBE, relaxed)" de_polymorph_mev_per_atom=0.0 formation_enthalpy_0k_ev_per_atom=-3.75 volume_a3_per_fu=162.8 space_group="Cmcm, No. 63" pbc="T T T"
Nd 0.0000 0.0000 0.0000
Nd 0.0000 0.0000 3.8718
Nd 2.0574 2.5341 5.8077
Nd 2.0574 -2.5341 1.9359
Nd 5.6405 2.5341 5.8077
Nd 5.6405 -2.5341 1.9359
Ta 3.8489 0.0000 0.0000
Ta 3.8489 0.0000 3.8718
O 3.8489 4.0479 1.9359
O 3.8489 3.9858 5.8077
O 2.3763 1.3361 0.2281
O 2.3763 1.3361 3.6437
O 2.3763 -1.3361 4.0999
O 2.3763 -1.3361 7.5155
O 3.8489 0.6239 5.8077
O 3.8489 -0.6239 1.9359
O 5.3215 1.3361 0.2281
O 5.3215 1.3361 3.6437
O 5.3215 -1.3361 4.0999
O 5.3215 -1.3361 7.5155
O 3.8489 -3.9858 1.9359
O 3.8489 -4.0479 5.8077

---

[4]
12
Lattice="3.6120 -5.7037 0.0000 3.6120 5.7037 0.0000 -3.3356 0.0000 3.9567" Properties=species:S:1:pos:R:3 comment="NdTaO4 (GGA-PBE, relaxed)" formation_enthalpy_0k_ev_per_atom=-3.67 volume_a3_per_fu=81.5 space_group="C2/c, No. 15" pbc="T T T"
Nd 1.1103 4.2035 2.9675
Nd 2.7781 -4.2035 0.9892
Ta 2.7781 1.1368 0.9892
Ta 1.1103 -1.1368 2.9675
O 1.3886 2.3459 1.3490
O -0.7729 0.3637 3.1647
O 0.8950 -0.3637 1.1863
O 4.1676 2.3459 0.6294
O -0.2792 -2.3459 3.3273
O 2.9934 0.3637 2.7704
O 4.6612 -0.3637 0.7920
O 2.4998 -2.3459 2.6077

---

[5]
24
Lattice="7.7087 0.0000 0.0000 0.0000 5.5176 0.0000 -1.3443 0.0000 7.6544" Properties=species:S:1:pos:R:3 comment="NdTaO4 (GGA-PBE, relaxed)" formation_enthalpy_0k_ev_per_atom=-3.66 volume_a3_per_fu=81.4 space_group="P2_1/c, No. 14" pbc="T T T"
-- stop --
Actually, the stock 5 colour Diamond comes with a massive 80 watt heater which is just too powerful and "un-taimable". I've demonstrated printing at up to 300mm/sec using a 0.5mm nozzle and 0.3mm layer heigh using a 40 Watt heater, so it's more than adequate.
@arhi Ohh and I almost forgot. Although it's a single fan, it has to be massively powerful. That's another modification I had to do because I had to adapt the hot end to take a 50mm fan instead of a 40mm fan in order to get the required 27cfm that it needs. The reason is that in order to fit 5 sinks in the same circumference, the manufacturer had to reduce the diameter of the lower fins. These are the ones that do all the work so if you make them smaller, they are less efficient, which leads to heat creep and filament jamming.
Still have too little experience with RRF but I doubt it has a poor heat control, PID is something that should be easily tuned and more powerful heater should only be beneficial. I normally tweak PID (have not tried on duet yet) by looking at the temp on the camera and not on the sensor and achieving overshoot that gets nozzle up to the right temperature before everything starts to settle down, so overshoot on the sensor is significant but overshoot on the nozzle itself is almost not there.
The fan on your extruder looks industrial
and I'd even guess it's AC mains powered, but to me it looks like too much air going "everywhere". If you mostly print PLA it's probably ok but "that fan" will IMO not work with ABS/HIPS/PC/Nylon but I might be wrong. Doing it with water seems more compact and light to me. "Seems" being the operative word here. I'm 100% sure I'd try to ride the water cooling road here, no clue if I'd stay on it or no, but I'm sure I'd try
The fan is most certainly not mains powered and supplies just the right amount of air for the application. Further more, that air does not "go everywhere" but is directed via purposely re0designed ducting to be delivered precisely where it is needed. The 80 Watt heater was downright dangerous because if a Mosfet failed, it could exceed the temperature that aluminium melts at.I suggest you look at my blog which is linked in my signature, because on the one hand we have your opinions based on nothing more than conjecture and zero knowledge of Diamond hot ends, and on the other hand we have my findings based on extensive research and testing.
You might find these posts of interest especially this one
but also these............ are many more posts on my blog - take a look and if you still have any criticisms or comments to make, post them on my blog.
**Inserted here: data records**
+++
# 1
+++
@deckingman I think you misunderstood me
I was trying to get info, not give suggestions.
As for "The air goes everywhere" comment, I see the ducts to how air enters the cooled parts of the hotend, but it exits "everywhere", that was behind that sentence, but now I'm thinking that fan might be sucking the air through the cooled parts of the hotend and then the exit of the air is upwards.
Anyhow it obviously works awesome, idea is to better understand the machine, and your line of thought, not to give suggestions about stuff I know zero about :D. I presented my line of thoughts why I believe I'd try water, not cause I think water would work but 'cause I used water in number of instances and was awed with results so now I try water everywhere. In any case I'm off to read more on posted links, that beast looks awesome and looks like you did a lot of interesting things to it.